[1]
Here is an optimized crystal structure of ZrSe2IBr from Alexandria. Energies are from GGA-PBE.

Computed properties:
Total moment = 0.00 μB per atom
Uncorrected energy = -4.219 eV/atom
E above lowest polymorph = 0.000 kcal/mol of atoms
Raw formation energy = -0.47 eV per atom

a b c (Å): 5.2897 5.2897 5.3364
angles (deg): 90.00 90.00 90.00
Last column: nearest neighbours and their distance in Å.
Space group P4/mmm (No. 123)
One atom of each set of equivalent atoms:
Zr: 0.0000 0.0000 0.0000  4 Se 2.64, 2 Br 2.67
Se: 0.0000 0.5000 0.0000  2 Zr 2.64
I: 0.5000 0.5000 0.5000  4 Br 3.74, 8 Se 3.76
Br: 0.0000 0.0000 0.5000  2 Zr 2.67

***

[2]
Here is an optimized crystal structure of Si2IBr from Alexandria. Energies are from GGA-PBE.

Computed properties:
Total moment = 0.00 μB per atom
Uncorrected energy = -2.783 eV/atom
E above lowest polymorph = 1.674 kcal/mol of atoms
Raw formation energy = 0.73 eV per atom

a b c (Å): 7.2194 7.2194 7.2194
angles (deg): 90.00 90.00 90.00
Last column: nearest neighbours and their distance in Å.
Space group Fm-3m (No. 225)
One atom of each set of equivalent atoms:
Si: 0.2500 0.2500 0.2500  4 Br 3.13, 4 I 3.13
I: 0.0000 0.0000 0.0000  8 Si 3.13
Br: 0.0000 0.0000 0.5000  8 Si 3.13

***

[3]
Here is an optimized crystal structure of SiI3Br from Alexandria. Energies are from GGA-PBE.

Computed properties:
Total moment = 0.24 μB per atom
Uncorrected energy = -2.107 eV/atom
E above lowest polymorph = 16.311 kcal/mol of atoms
Raw formation energy = 0.24 eV per atom

a b c (Å): 5.5556 5.5556 5.5556
angles (deg): 90.00 90.00 90.00
Last column: nearest neighbours and their distance in Å.
Space group Pm-3m (No. 221)
One atom of each set of equivalent atoms:
Si: 0.0000 0.0000 0.0000  6 I 2.78
I: 0.0000 0.0000 0.5000  2 Si 2.78
Br: 0.5000 0.5000 0.5000  12 I 3.93

***

[4]
Here is an optimized crystal structure of Si2IBr from Alexandria. Energies are from GGA-PBE.

Computed properties:
Total moment = 0.00 μB per atom
Uncorrected energy = -2.856 eV/atom
E above lowest polymorph = 0.000 kcal/mol of atoms
Raw formation energy = 0.66 eV per atom

a b c (Å): 7.9285 7.9285 6.8085
angles (deg): 90.00 90.00 90.00
Last column: nearest neighbours and their distance in Å.
Space group I-42d (No. 122)
One atom of each set of equivalent atoms:
Si: 0.2418 0.2500 0.1250  2 Br 2.89, 2 I 2.97
I: 0.0000 0.0000 0.5000  4 Si 2.97
Br: 0.0000 0.0000 0.0000  4 Si 2.89

* * * * *

1.
{
  "formula": "Zn2CuI6",
  "functional": "PBE-GGA",
  "state": "optimized geometry",
  "cell": [[3.957, 0.000, 0.000], [1.944, 8.598, 0.000], [1.734, 2.132, 11.322]],
  "species": ["Zn", "Zn", "Cu", "I", "I", "I", "I", "I", "I"],
  "fractional_positions": [[0.186, 0.340, 0.255], [0.814, 0.660, 0.745], [0.500, 0.500, 0.500], [0.107, 0.283, 0.499], [0.347, 0.085, 0.176], [0.390, 0.454, 0.800], [0.610, 0.546, 0.200], [0.653, 0.915, 0.824], [0.893, 0.717, 0.501]],
  "e_form_raw_ev_per_atom": -0.3522,
  "n_ef_per_ev_cell": 4.9,
  "magnetic_moment_mub_per_cell": 0.3
}

---

2.
{
  "formula": "Pm4Dy3Th4",
  "functional": "PBE-GGA",
  "state": "optimized geometry",
  "cell": [[-1.758, 5.167, 10.260], [1.758, -5.167, 10.260], [1.758, 5.167, -10.260]],
  "species": ["Pm", "Pm", "Pm", "Pm", "Dy", "Dy", "Dy", "Th", "Th", "Th", "Th"],
  "fractional_positions": [[0.029, 0.843, 0.186], [0.343, 0.157, 0.186], [0.657, 0.843, 0.814], [0.971, 0.157, 0.814], [0.000, 0.500, 0.500], [0.410, 0.410, 0.000], [0.590, 0.590, 0.000], [0.269, 0.769, 0.500], [0.277, 0.000, 0.277], [0.723, 0.000, 0.723], [0.731, 0.231, 0.500]],
  "ef_ev_per_atom": 0.226,
  "n_ef_per_ev_cell": 16.8,
  "magnetic_moment_mub_per_cell": 0.0
}

---

3.
{
  "formula": "LiSmYPb",
  "functional": "PBE-GGA",
  "state": "optimized geometry",
  "cell": [[0.000, 3.773, 3.773], [3.773, 0.000, 3.773], [3.773, 3.773, 0.000]],
  "species": ["Li", "Sm", "Y", "Pb"],
  "fractional_positions": [[0.000, 0.000, 0.000], [0.750, 0.750, 0.750], [0.250, 0.250, 0.250], [0.500, 0.500, 0.500]],
  "ef_ev_per_atom": -0.310,

Could you type out the block earlier on verbatim?

[1]
Here is an optimized crystal structure of ZrSe2IBr from Alexandria. Energies are from GGA-PBE.

Computed properties:
Total moment = 0.00 μB per atom
Uncorrected energy = -4.219 eV/atom
E above lowest polymorph = 0.000 kcal/mol of atoms
Raw formation energy = -0.47 eV per atom

a b c (Å): 5.2897 5.2897 5.3364
angles (deg): 90.00 90.00 90.00
Last column: nearest neighbours and their distance in Å.
Space group P4/mmm (No. 123)
One atom of each set of equivalent atoms:
Zr: 0.0000 0.0000 0.0000  4 Se 2.64, 2 Br 2.67
Se: 0.0000 0.5000 0.0000  2 Zr 2.64
I: 0.5000 0.5000 0.5000  4 Br 3.74, 8 Se 3.76
Br: 0.0000 0.0000 0.5000  2 Zr 2.67

***

[2]
Here is an optimized crystal structure of Si2IBr from Alexandria. Energies are from GGA-PBE.

Computed properties:
Total moment = 0.00 μB per atom
Uncorrected energy = -2.783 eV/atom
E above lowest polymorph = 1.674 kcal/mol of atoms
Raw formation energy = 0.73 eV per atom

a b c (Å): 7.2194 7.2194 7.2194
angles (deg): 90.00 90.00 90.00
Last column: nearest neighbours and their distance in Å.
Space group Fm-3m (No. 225)
One atom of each set of equivalent atoms:
Si: 0.2500 0.2500 0.2500  4 Br 3.13, 4 I 3.13
I: 0.0000 0.0000 0.0000  8 Si 3.13
Br: 0.0000 0.0000 0.5000  8 Si 3.13

***

[3]
Here is an optimized crystal structure of SiI3Br from Alexandria. Energies are from GGA-PBE.

Computed properties:
Total moment = 0.24 μB per atom
Uncorrected energy = -2.107 eV/atom
E above lowest polymorph = 16.311 kcal/mol of atoms
Raw formation energy = 0.24 eV per atom

a b c (Å): 5.5556 5.5556 5.5556
angles (deg): 90.00 90.00 90.00
Last column: nearest neighbours and their distance in Å.
Space group Pm-3m (No. 221)
One atom of each set of equivalent atoms:
Si: 0.0000 0.0000 0.0000  6 I 2.78
I: 0.0000 0.0000 0.5000  2 Si 2.78
Br: 0.5000 0.5000 0.5000  12 I 3.93

***

[4]
Here is an optimized crystal structure of Si2IBr from Alexandria. Energies are from GGA-PBE.

Computed properties:
Total moment = 0.00 μB per atom
Uncorrected energy = -2.856 eV/atom
E above lowest polymorph = 0.000 kcal/mol of atoms
Raw formation energy = 0.66 eV per atom

a b c (Å): 7.9285 7.9285 6.8085
angles (deg): 90.00 90.00 90.00
Last column: nearest neighbours and their distance in Å.
Space group I-42d (No. 122)
One atom of each set of equivalent atoms:
Si: 0.2418 0.2500 0.1250  2 Br 2.89, 2 I 2.97
I: 0.0000 0.0000 0.5000  4 Si 2.97
Br: 0.0000 0.0000 0.0000  4 Si 2.89

* * * * *

1.
{
  "formula": "Zn2CuI6",
  "functional": "PBE-GGA",
  "state": "optimized geometry",
  "cell": [[3.957, 0.000, 0.000], [1.944, 8.598, 0.000], [1.734, 2.132, 11.322]],
  "species": ["Zn", "Zn", "Cu", "I", "I", "I", "I", "I", "I"],
  "fractional_positions": [[0.186, 0.340, 0.255], [0.814, 0.660, 0.745], [0.500, 0.500, 0.500], [0.107, 0.283, 0.499], [0.347, 0.085, 0.176], [0.390, 0.454, 0.800], [0.610, 0.546, 0.200], [0.653, 0.915, 0.824], [0.893, 0.717, 0.501]],
  "e_form_raw_ev_per_atom": -0.3522,
  "n_ef_per_ev_cell": 4.9,
  "magnetic_moment_mub_per_cell": 0.3
}

---

2.
{
  "formula": "Pm4Dy3Th4",
  "functional": "PBE-GGA",
  "state": "optimized geometry",
  "cell": [[-1.758, 5.167, 10.260], [1.758, -5.167, 10.260], [1.758, 5.167, -10.260]],
  "species": ["Pm", "Pm", "Pm", "Pm", "Dy", "Dy", "Dy", "Th", "Th", "Th", "Th"],
  "fractional_positions": [[0.029, 0.843, 0.186], [0.343, 0.157, 0.186], [0.657, 0.843, 0.814], [0.971, 0.157, 0.814], [0.000, 0.500, 0.500], [0.410, 0.410, 0.000], [0.590, 0.590, 0.000], [0.269, 0.769, 0.500], [0.277, 0.000, 0.277], [0.723, 0.000, 0.723], [0.731, 0.231, 0.500]],
  "ef_ev_per_atom": 0.226,
  "n_ef_per_ev_cell": 16.8,
  "magnetic_moment_mub_per_cell": 0.0
}

---

3.
{
  "formula": "LiSmYPb",
  "functional": "PBE-GGA",
  "state": "optimized geometry",
  "cell": [[0.000, 3.773, 3.773], [3.773, 0.000, 3.773], [3.773, 3.773, 0.000]],
  "species": ["Li", "Sm", "Y", "Pb"],
  "fractional_positions": [[0.000, 0.000, 0.000], [0.750, 0.750, 0.750], [0.250, 0.250, 0.250], [0.500, 0.500, 0.500]],
  "ef_ev_per_atom": -0.310,